How Neurotransmitters Affect our Physical and Emotional Well-Being
Has anyone ever told you how electrifying you are? Well, they may not be that far from the truth! Every aspect of our being is interconnected by a communication system compromised of neurons (nerve cells), which communicate with each other via electrical impulses and chemicals known as neurotransmitters. The chemical firing that controls our body begins when a neuron creates an electrical discharge that moves down its length. At the far end of the neuron, the electrical pulse stimulates the nerve ending to release chemicals known as neurotransmitters. These messenger chemicals travel through a calcium channel known as a synapse to the next nerve. There, they bind to receptor sites, which either stimulate or inhibit the next nerve from firing another electrical impulse.
The discovery of neurotransmitters has greatly altered our understanding of mental illnesses and other disorders of the brain. We now know that sleep; mood, appetite and behavior are influenced by the different types of transmitter chemicals being released in our brain.
Depression, addiction, mania, schizophrenia, Alzheimer’s disease, Parkinson's disease and ADHD are some of the major disorders now known to involve imbalances in neurotransmitters. Understanding these chemical messengers has also given us new insights into how nutrition and herbs affect both our mind and our body. So, in this issue we shall introduce the major neurotransmitters and discuss some of the herbs, supplements and natural therapies that can help them to work properly.
Introducing Neurotransmitters
Otto Loewi, an Austrian scientist, found the first neurotransmitter in 1921. He utilized two frog hearts in which one remained connected to the Vagus nerve and was placed in a chamber of saline and the other was placed in a connected chamber that allowed the fluid from the first chamber to flow into the other as well. Electrical stimulation of the Vagus nerve slowed processes in both of the hearts with a slower reaction time on the second heart. Loewi then hypothesized that stimulation of the Vagus nerve released a chemical into the first heart that then flowed into the second heart. Today we know this chemical as acetylcholine.
Acetylcholine is a neurotransmitter that is involved in memory and muscle movement. Alzheimer's disease is now believed to be caused by a destruction of the neurotransmitters in the brain, which produce acetylcholine. These nerve cells are probably destroyed by free radical damage. Chemicals that block the proper function of acetylcholine will dilate pupils and the respiratory system as well as decrease muscle tone and mobility. The toxic herb, belladonna, blocks acetylcholine receptors and has these effects.
Receptor sites for acetylcholine are called cholinergic receptors.
There are two types of cholinergic receptors. The first are called nicotinic receptors because nicotine, an alkaloid found in tobacco will bind to these sites and stimulate them. When acetylcholine binds to these sites, it increases the heart rate, blood pressure and improves muscle tone. An individual with a habit of smoking may be lacking acetylcholine or otherwise have an imbalance with this neurotransmitter.
Lobelia, an herb that has been used to reduce cravings for tobacco, contains an alkaloid called lobeline, which also binds to these receptor sites, but inhibits rather than stimulates them. This is partly why lobelia relaxes the heart rate and muscle tone, reducing blood pressure.
The other types of cholinergic receptors are called muscarinic receptors. They are found in the brain, sweat glands and blood vessels. Found to be essential in learning and retention, these sites when stimulated also increase sweating, salivation, and body temperature.
Sage is an herb with cholinergic properties that has a reputation for enhancing memory (hence a wise person is considered a "sage"). This herb also has been used to decrease sweating (especially night sweats), excessive alleviation and reduce body temperature in fevers.
Rosemary essential oil is also cholinergic. Ophelia, of Shakespeare's Hamlet, remarked as she handled rosemary, "and that is for remembrance." The nutrient choline, found in egg yolks, green leafy vegetables and legumes, is the building block for acetylcholine. A special form of choline called phosphatidylcholine crosses the blood brain barrier better than choline. It is a component of
Lecithin a nutrient used to help memory and concentration.

The Nature's Sunshine formula
Brain Protex was designed to enhance the production of acetylcholine and prevent free radical destruction of the neurons that produce it. It contains choline and antioxidants that help to protect the brain from free radical damage. Another ingredient in this formula is phospatidyl serine, which acts as a precursor to acetylcholine. Research has shown that this nutrient enhances cognitive functions like attention and short-term recall.
It also lowers stress hormones and helps alleviate sleep problems. Brain Protex also contains huperizine alkaloids, which inhibit an enzyme that breaks down acetylcholine. These alkaloids are derived from Chinese club moss, an herb that has been used in Chinese medicine to treat schizophrenia and mental confusion.
Epinephrine and Norepinephrine
A group of neurotransmitters referred to as "catecholamines" include dopamine, norepinephrine and epinephrine. Norepinephrine and epinephrine, are produced by both the nerves and the adrenal glands. They are also known by the names noradrenalin and adrenaline. They are formed from the amino acids phenylalanine and tyrosine.
Catecholamines are responsible for peripheral nervous system effects (elevated blood pressure and blood sugar, muscular contraction and the release of a thyroid stimulating hormone from the pituitary) as well as central nervous system responses involving respiration and psychomotor activity. They also control the flow of blood to the skin, skeletal system and mucous membranes as well as controlling heart and gastrointestinal functions.
Norepinephrine and epinephrine influence metabolism. Receptor sites for these hormones are called adrenergic receptors and come in two types-Alpha and Beta. The Alpha Adrenergic receptors decrease digestive activity while contracting the blood vessels and the uterus. Beta-receptors contract the blood vessels and the uterus muscles as well as stimulating the heart.

The term "Beta Blockers" refers to a class of drugs that inhibit these receptors. Lobelia also inhibits them. Drugs, which attach to these receptor sites and stimulate them, are called amphetamines or "uppers." These include cocaine, diet pills and the popular drug, Ritalin.
Ritalin helps control hyperactivity in children that are deficient in the neurotransmitter norepinephrine.
Amphetamines have also been used for dieting, because they reduce appetite while speeding up metabolism. Ephedrine, an alkaloid found in the herb Ma Huang or Chinese ephedra, also binds to these same receptor sites and stimulates them. These formulas have also been used as natural "diet pills" to increase metabolism and reduce appetite.
Dopamine, another catecholamine, responsible for sexual arousal and muscular coordination. It is the neurotransmitter that is deficient in those who suffer from Parkinson's disease. Again, destruction of the brain cells that produce this neurotransmitter is thought to be responsible. Where there are low levels of glutathione (an intracellular antioxidant) or there is an excess amount of iron, dopamine degrades into free radicals. Dopamine levels can be enhanced by supplementation with phenylalanine.
The amino acid tyrosine causes a release of dopa, which also stimulates dopamine production. Good sources of tyrosine include red meat,
Spirulina and
Super Algae.
Serotonin is probably the most famous of the neurotransmitters because of its association with drugs that affect it. Although most commonly associated with alleviating depression, serotonin receptors have been found to control hunger, sleep, pain response, seizure, and peristalsis as well as function of the limbic system and brain. Individuals with low serotonin levels may notice cravings for carbohydrates. A meal high in carbohydrates increases serotonin production in the brain. This is part of the reason why we tend to crave sweets when we are feeling "down."
Protein, on the other hand, stimulates production of catecholamines. Eating meals with a healthy balance of protein and carbohydrates helps to keep the brain stable. Monoamine Oxidase (MAO) inhibitors were the first class of drugs developed in an attempt to regulate serotonin in the brain. These drugs inhibit an enzyme called monoamine Oxidase, which breaks down serotonin. It breaks down other neurotransmitters as well, including epinephrine, norepinephrine, dopamine and melatonin. Several herbs appear to work in a similar manner, but with fewer side effects.
St. John's Wort helps increase serotonin levels and has been helpful with mild to moderate depression associated with anxiety.
Ginkgo helps to prevent breakdown of the serotonin receptor sites as we age. Traditional medicine has long associated depression with poor digestive function. Recent research has shown that serotonin is found in the highest concentrations in the intestinal tract, suggesting that this link is scientifically valid.

Mood Elevator works by helping the liver and digestive tract, and has proven helpful in many cases of severe depression. It is a good natural alternative to another class of serotonin altering drugs-SSRIs. Drugs noted as selective serotonin reuptake inhibitors (SSRIs), including Prozac, Paxil, and Zoloft, block the reuptake of serotonin. Thus, SSRIs create a false sense of detachment and the excess serotonin creates an elevation of mood. There is even some evidence to suggest that they are linked with extremely violent and antisocial behavior. Fortunately, it is easy to increase serotonin levels with nutrition.
Serotonin production is directly linked to levels of 1-tryptophan, an amino acid, in the brain. Eating complex carbohydrates, whole fruits, vegetables and whole grains, helps to stabilize 1-tryptophan levels in the brain. Refined carbohydrates and simple sugars give a quick fix. They lift the mood temporarily, but result in a "letdown" later.
5-HTP Power contains a form of l-tryptophan (5-HTP), which is converted directly to serotonin in the brain. It also contains herbs and nutrients that help with the production of this neurotransmitter. This formula may be helpful where a lack of serotonin production is causing insomnia, depression and carbohydrate cravings.
GABA (Gamma Amino Butyric Acid) is best known as an inhibitor of presynaptic transmission, or it keeps the brain from being “trigger happy”. When in balance, GABA prevents anxiety and increases mental clarity. Anxiolytic drugs of the benzodiazepine family (Valium, Xanax) work off of the soothing effects of GABA receptor response. All three herbs in
Herbal Sleep (hops, valerian and passion flower) are known to bind to GABA receptor sites, making this an excellent formula.
The formula
GABA Plus combines GABA with the amino acid glutamine (which is used to create another inhibitory neurotransmitter called glutamic acid. Glutamic acid is also the precursor to GABA. In addition to passion flower and Spirulina, GABA Plus helps calm overactive nerve functions and may be useful for reducing hyperactivity, seizures and nervous tics.
## Between two parts of the article: materials data
____________
No. 1
PuThRu2: calculated PXRD pattern (λ = 1.5418 Å (Cu Kα)), based on a cell relaxed with GGA-PBE.

Structure:
```
PuThRu2
1.0
5.8514 0.0000 0.0000
0.0000 5.4985 0.0000
-2.7131 0.0000 10.7293
Pu Th Ru
4 4 8
Cartesian
0.4174 1.0524 1.4045 Pu
-0.9392 4.4460 6.7692 Pu
4.0775 1.0524 3.9601 Pu
2.7210 4.4460 9.3247 Pu
-0.5163 1.6817 9.2350 Th
0.8402 3.8168 3.8704 Th
2.2981 1.6817 6.8589 Th
3.6547 3.8168 1.4943 Th
-0.5875 1.7084 6.1252 Ru
0.7690 3.7901 0.7605 Ru
1.2289 1.0727 3.8487 Ru
-0.1277 4.4258 9.2134 Ru
3.2660 1.0727 1.5159 Ru
1.9095 4.4258 6.8805 Ru
2.3693 1.7084 9.9687 Ru
3.7259 3.7901 4.6041 Ru
```

Principal peaks in the range 15 to 90 degrees two-theta, in order of rising 2θ:
2θ 25.3, intensity 49
2θ 30.7, intensity 65
2θ 31.9, intensity 100
2θ 32.6, intensity 76
2θ 33.4, intensity 89
2θ 33.7, intensity 53
2θ 39.4, intensity 57
2θ 45.3, intensity 34
2θ 46.2, intensity 41
2θ 47.3, intensity 39


No. 2
Mg2HIr2: calculated PXRD pattern (λ = 1.5418 Å (Cu Kα)), based on a cell relaxed with GGA-PBE.

Structure:
```
Mg2HIr2
1.0
0.0000 3.1734 3.1948
3.1669 0.0000 3.1948
3.1669 3.1734 0.0000
Mg H Ir
2 1 2
Cartesian
1.5835 1.5867 0.0000 Mg
1.5835 1.5867 3.1948 Mg
0.0000 0.0000 0.0000 H
3.1669 3.1734 1.7229 Ir
3.1669 3.1734 4.6668 Ir
```

Principal peaks in the range 15 to 90 degrees two-theta, in order of rising 2θ:
2θ 27.9, intensity 36
2θ 28.1, intensity 78
2θ 40.1, intensity 100
2θ 40.2, intensity 53
2θ 49.7, intensity 31
2θ 58.1, intensity 9
2θ 65.4, intensity 11
2θ 65.9, intensity 22
2θ 72.7, intensity 15
2θ 73.0, intensity 35


No. 3
Li11In3: calculated PXRD pattern (λ = 1.5418 Å (Cu Kα)), based on a cell relaxed with GGA-PBE.

Structure:
```
Li11In3
1.0
-2.3326 4.4955 5.8795
2.3326 -4.4955 5.8795
2.3326 4.4955 -5.8795
Li In
11 3
Cartesian
0.0000 0.0000 0.0000 Li
2.3326 -2.5223 4.0737 Li
2.3326 1.3381 0.0000 Li
2.3326 3.2995 -1.5974 Li
0.0000 1.9732 1.8058 Li
0.0000 1.1960 4.2821 Li
2.3326 3.2995 1.5974 Li
2.3326 2.5223 4.0737 Li
0.0000 1.1960 7.4768 Li
0.0000 3.1575 5.8795 Li
0.0000 7.0178 1.8058 Li
2.3326 0.0000 2.4690 In
0.0000 4.4955 0.0000 In
0.0000 4.4955 3.4105 In
```

Principal peaks in the range 15 to 90 degrees two-theta, in order of rising 2θ:
2θ 19.7, intensity 60
2θ 21.5, intensity 100
2θ 24.8, intensity 42
2θ 29.8, intensity 29
2θ 35.6, intensity 33
2θ 36.0, intensity 44
2θ 37.5, intensity 29
2θ 37.8, intensity 17
2θ 38.6, intensity 16
2θ 46.4, intensity 16

=====

Simulated powder XRD pattern of EuNiC for a wavelength of 1.5418 Å, from a DFT-relaxed cell (PBE, Alexandria).

The 10 most intense peaks (15° ≤ 2θ ≤ 90°), by angle:
21.4 deg, d = 4.155 Å, rel. 9, (0 0 1)
29.6 deg, d = 3.020 Å, rel. 35, (1 0 0)
36.8 deg, d = 2.443 Å, rel. 100, (1 0 1)
43.6 deg, d = 2.077 Å, rel. 14, (0 0 2)
52.5 deg, d = 1.744 Å, rel. 23, (1 1 0)
53.5 deg, d = 1.712 Å, rel. 14, (1 0 2)
65.8 deg, d = 1.419 Å, rel. 18, (2 0 1)
70.5 deg, d = 1.335 Å, rel. 19, (1 1 2)
75.5 deg, d = 1.259 Å, rel. 12, (1 0 3)
88.9 deg, d = 1.101 Å, rel. 16, (2 1 1)
____________
L-Glutamine is also found in
Focus Attention. This formula may be helpful in ADHD. It contains lemon balm, which calms the mind and reduces anxiety, along with ginkgo and grapeseed extract, which help protect the brain from damage. Another nutrient in Focus Attention is DNME (dimethylaminoethanol), a naturally occurring nutrient found in quantity in various fish such as sardines and anchovies.
This substance enhances acetylcholine and has been shown to improve sleep, depression, mental energy, attention span and concentration while studying or writing.
Thus, Focus Attention can be used to boost mood and memory, enhance learning and improve concentration.
It is also available in a powered form to make it easier to administer to children who can't swallow capsules.
Other Neurotransmitters
There are many other neurotransmitters including histamine, endorphins, enkephalins, substance P, and nitric acid.
* Histamine is the substance that creates inflammation, but in the brain it helps stimulate the release of enkephalins.
* Enkephalins and endorphins elevate mood and ease pain. The receptor sites associated with these transmitters are called opiate receptors.
* Substance P is found within the brain as well as sensory neurons. It is used to signal pain and is blocked by substances like capsaicin in capsicum and compounds in clove and nutmeg oil.
* Nitric acid, recently discovered, sends messages to various organs including the colon. It has many functions such as erectile function, lowering of blood pressure, formation of synaptic junctions and inhibits bacterial growth. It is formed from the amino acid arginine, which then creates the enzyme called nitric oxide synthease (NOS). Arginine is found in NSP's formula Blood Pressurex, along with an herb called Coleus that aids GMP production.
## The entry is interrupted by materials data
=====
For Pu2Hg3Au2, a cell relaxed with PBE gives the calculated X-ray diffraction stick pattern in this record (copper Kα).
Intensities are scaled so that the largest is 100.

Structural model:
```
7
Lattice="4.707 0.000 0.000 0.000 3.155 0.000 -2.342 0.000 11.445" Properties=species:S:1:pos:R:3 pbc="T T T"
Pu 0.002 0.000 1.822
Pu 2.362 0.000 9.624
Hg 0.004 1.577 4.839
Hg 2.354 1.577 0.000
Hg 2.361 1.577 6.606
Au 0.008 1.577 8.299
Au 2.357 1.577 3.147
```

Most intense lines, 5 to 70 degrees two-theta, sorted by position:
Position (°2θ), I_rel, h k l
29.37, 15.0, 0 1 1
33.36, 100.0, 1 0 3
34.45, 54.2, 1 1 -1
36.97, 23.9, 0 1 3
38.24, 37.0, 2 0 -1
39.63, 30.8, 1 1 2
54.24, 16.3, 2 1 2
58.54, 15.7, 0 2 0
66.05, 14.4, 3 0 2
69.05, 25.4, 1 2 3

=====

Entry 1:
The following is a calculated powder diffractogram of SnH10Br4O5. It was derived from a crystal structure in Alexandria, relaxed with PBE, using CuKα.
Neutral-atom scattering factors, no anomalous dispersion.

```
data_SnH10Br4O5
_cell_length_a 13.281
_cell_length_b 10.298
_cell_length_c 8.936
_cell_angle_alpha 90.00
_cell_angle_beta 104.72
_cell_angle_gamma 90.00
_symmetry_space_group_name_H-M 'C 1 2/c 1'
_symmetry_Int_Tables_number 15
loop_
_symmetry_equiv_pos_as_xyz
'x,y,z'
'-x,-y,-z'
'-x,y,-z+1/2'
'x,-y,z+1/2'
'x+1/2,y+1/2,z'
'-x+1/2,-y+1/2,-z'
'-x+1/2,y+1/2,-z+1/2'
'x+1/2,-y+1/2,z+1/2'
loop_
_atom_site_label
_atom_site_type_symbol
_atom_site_fract_x
_atom_site_fract_y
_atom_site_fract_z
Sn1 Sn 0.000 0.244 0.250
H1 H 0.028 0.352 0.838
H2 H 0.092 0.181 0.719
H3 H 0.105 0.082 0.503
H4 H 0.108 0.012 0.334
H5 H 0.208 0.138 0.738
Br1 Br 0.112 0.407 0.444
Br2 Br 0.146 0.227 0.104
O1 O 0.000 0.294 0.750
O2 O 0.073 0.076 0.388
O3 O 0.136 0.106 0.703
```

Largest 10 diffraction maxima, most intense first, 2θ from 15° to 90°:
2θ 16.21, intensity 100, hkl 1 1 1; 2θ 29.48, intensity 60, hkl 1 3 1; 2θ 32.76, intensity 52, hkl 2 2 2; 2θ 30.16, intensity 45, hkl 4 0 -2; 2θ 17.22, intensity 39, hkl 0 2 0; 2θ 42.95, intensity 30, hkl 3 1 3; 2θ 45.07, intensity 26, hkl 2 4 2; 2θ 54.47, intensity 23, hkl 2 4 -4; 2θ 33.93, intensity 23, hkl 3 1 -3; 2θ 34.92, intensity 21, hkl 4 2 -2

Entry 2:
The following is a calculated powder diffractogram of SrH2Br2O. It was derived from a crystal structure in Alexandria, relaxed with PBE, using CuKα.
Neutral-atom scattering factors, no anomalous dispersion.

```
data_SrH2Br2O
_cell_length_a 11.528
_cell_length_b 4.324
_cell_length_c 9.463
_cell_angle_alpha 90.00
_cell_angle_beta 90.00
_cell_angle_gamma 90.00
_symmetry_space_group_name_H-M 'P n m a'
_symmetry_Int_Tables_number 62
loop_
_symmetry_equiv_pos_as_xyz
'x,y,z'
'-x,-y,-z'
'-x+1/2,-y,z+1/2'
'x+1/2,y,-z+1/2'
'x+1/2,-y+1/2,-z+1/2'
'-x+1/2,y+1/2,z+1/2'
'-x,y+1/2,-z'
'x,-y+1/2,z'
loop_
_atom_site_label
_atom_site_type_symbol
_atom_site_fract_x
_atom_site_fract_y
_atom_site_fract_z
Sr1 Sr 0.190 0.250 0.106
H1 H 0.103 0.250 0.664
H2 H 0.134 0.250 0.505
Br1 Br 0.103 0.750 0.885
Br2 Br 0.115 0.750 0.335
O1 O 0.170 0.250 0.599
=====
As one can see, research in to neurotransmitters is helping us understand better why herbs and good nutrition work to sustain not only good physical health, but mental and emotional health as well.
Fueling The Mind
Basic Nutrients to feed the brain
There are some basic nutrients all of us need to produce adequate amounts of neurotransmitters. Since all of our neurotransmitters are made of amino acids, adequate intake of vitalized protein is essential to proper brain function. Well-done meat is a poor source of vitalized protein, so unless you like Sushi, and rare meat, you should consider some supplementation with a good source of amino acids.
SuperAlgae and Spirulina are great sources for your aminos. Both help to reduce food cravings, and maintain stable blood sugar levels. They are helpful for mental concentration and mood balancing, too.
Ultimate Green Zone is a great source of amino acids and makes, a healthy “fast food” meal. Just add a scoop of the powder to your favorite juice (pineapple, etc.) and enjoy a quick mental and physical pick-me-up.
difficulty digesting and assimilating protein, taking Free Amino Acids may also be helpful. Free Amino Acids contains 19 amino acids essentially-a form of predigested protein that can also aid in the production of neurotransmitters. Besides amino acids, the body needs B-vitamins to synthesize neurotransmitters. This is one of the reasons that B-complex vitamin supplement can be so good for your nerves! Since Vitamin C is also essential to the production of several neurotransmitters, including epinephrine and norephinephrine, Nutri-Calm, is another good choice for your brain and nerves. Lastly, since the brain is composed mainly of fat (we're all "fat-heads" after all), a good source of essential fatty acids is also essential to a healthy brain. Hence, flax seed oil, which is rich in essential fatty acids, has helped many people keep their mind in top shape.
Cell Phone Warning
As cell phones become increasingly popular, it is wise to examine research showing that cell phones may cause damage to the brain. Cell phone usage has been associated with an increased risk for Alzheimer's disease, brain cancer and depression. Low-level electromagnetic fields are known to have an effect on calcium ions (which are responsible for intracellular communication, such as the transportation of neurotransmitters). In 1999, research concluded that disruptions in calcium ion reactions caused damaged cells to accumulate, increasing mutations and tumors. Ailments such as brain abnormalities, sleep disruption, altered immune systems, cancer and neurological diseases can all be initiated by altered cellular calcium from various forms of electromagnetic radiation, including cell phones. Calcium ion tests show that some cell phones may cause no damage and others may prove detrimental. The most consistent damage was noted at a carrier frequency of 954 megahertz.
Cellular usage has become an integral part of our society. And even though the evidence is inconclusive, one would be wise to use caution when employing these of such devices. Some World Health Organization officials and scientists agree that there is ample evidence to utilize caution when exposing one self to cellular or other electromagnetic sites.
Earpieces and shortened exposure can all help to protect the communication going on inside our brain, while we are communicating with the outside world on our cell phones.
Activating the Healing Response: An In Depth Look at the Nervous and Glandular Systems, correspondence course by Steven H. Horne, Tree of Light Institute.
Live Right for Your Type by Dr. Peter D'Adamo
Food and Mood by Elizabeth Somer.